Job:
Say how many lines of the lines further down hold the word "follow", as a bare number.

Listing:
/*
1.
The following is a DFT calculation (SCAN) of a PBEsol-optimized structure of Hf2Zn2Hg.

a b c (Å): 4.0172 6.6462 6.6462
angles (deg): 90.00 90.00 90.00
Closest atoms and distances in Å follow each position.
Sites, in units of the cell vectors:
Zn 0.0000 0.3712 0.8712  1 Zn 2.42, 2 Hg 2.61
Zn 0.0000 0.8712 0.6288  1 Zn 2.42, 2 Hg 2.61
Zn 0.0000 0.6288 0.1288  1 Zn 2.42, 2 Hg 2.61
Zn 0.0000 0.1288 0.3712  1 Zn 2.42, 2 Hg 2.61
Hf 0.5000 0.1676 0.6676  6 Zn 2.77-2.83
Hf 0.5000 0.6676 0.8324  6 Zn 2.77-2.83
Hf 0.5000 0.8324 0.3324  6 Zn 2.77-2.83
Hf 0.5000 0.3324 0.1676  6 Zn 2.77-2.83
Hg 0.0000 0.0000 0.0000  4 Zn 2.61
Hg 0.0000 0.5000 0.5000  4 Zn 2.61

spin magnetization: 0.0 μB/cell
theoretical density: 12884 kg/m3
total DFT energy (no corrections): -44.3847 eV per atom


2.
The following is a DFT calculation (SCAN) of a PBEsol-optimized structure of Y2ScSeI.

a b c (Å): 4.9241 5.3989 5.3989
angles (deg): 90.00 90.00 90.00
Closest atoms and distances in Å follow each position.
Sites, in units of the cell vectors:
I 0.5000 0.5000 0.5000  8 Y 3.65, 4 Sc 3.82
Y 0.0000 0.0000 0.5000  2 Se 2.70
Y 0.0000 0.5000 0.0000  2 Se 2.70
Sc 0.5000 0.0000 0.0000  2 Se 2.46
Se 0.0000 0.0000 0.0000  2 Sc 2.46, 4 Y 2.70

spin magnetization: 4.2 μB/cell
theoretical density: 4959 kg/m3
energy relative to the elements, uncorrected: -2.21 eV/f.u.


3.
The following is a DFT calculation (SCAN) of a PBEsol-optimized structure of HgSN2O.

a b c (Å): 4.2274 4.2274 5.1288
angles (deg): 90.00 90.00 90.00
Closest atoms and distances in Å follow each position.
Sites, in units of the cell vectors:
S 0.0000 0.0000 0.5000  2 Hg 2.56
Hg 0.0000 0.0000 0.0000  4 N 2.11
O 0.5000 0.5000 0.5000  4 S 2.99, 8 N 3.32
N 0.0000 0.5000 0.0000  2 Hg 2.11
N 0.5000 0.0000 0.0000  2 Hg 2.11

spin magnetization: 6.8 μB/cell
theoretical density: 5012 kg/m3
energy relative to the elements, uncorrected: 12.14 eV/f.u.


4.
The following is a DFT calculation (SCAN) of a PBEsol-optimized structure of Cs2NbI.

a b c (Å): 6.2951 6.2951 6.2951
angles (deg): 60.00 60.00 60.00
Closest atoms and distances in Å follow each position.
Sites, in units of the cell vectors:
Cs 0.2500 0.2500 0.2500  4 Nb 3.85, 4 I 3.85
Cs 0.7500 0.7500 0.7500  4 I 3.85, 4 Nb 3.85
I 0.5000 0.5000 0.5000  8 Cs 3.85
Nb 0.0000 0.0000 0.0000  8 Cs 3.85

spin magnetization: 6.0 μB/cell
theoretical density: 4571 kg/m3
energy relative to the elements, uncorrected: 1.27 eV/f.u.


5.
The following is a DFT calculation (SCAN) of a PBEsol-optimized structure of YAl2.

a b c (Å): 4.6796 4.8602 5.9402
angles (deg): 114.15 90.00 90.00
Closest atoms and distances in Å follow each position.
Sites, in units of the cell vectors:
Y 0.7500 0.2329 0.0000  6 Al 2.99-3.16, 2 Y 3.26
Y 0.2500 0.7671 0.0000  6 Al 2.99-3.16, 2 Y 3.26
Al 0.7500 0.8667 0.3822  6 Al 2.75-2.90, 1 Y 2.99
Al 0.2500 0.1333 0.6178  6 Al 2.75-2.90, 1 Y 2.99
Al 0.7500 0.4845 0.6178  6 Al 2.75-2.90, 1 Y 2.99
Al 0.2500 0.5155 0.3822  6 Al 2.75-2.90, 1 Y 2.99

spin magnetization: 0.7 μB/cell
theoretical density: 3849 kg/m3
total DFT energy (no corrections): -14.7483 eV per atom


6.
The following is a DFT calculation (SCAN) of a PBEsol-optimized structure of K2SbRu.

a b c (Å): 5.1212 5.1212 5.1212
angles (deg): 60.00 60.00 60.00
Closest atoms and distances in Å follow each position.
Sites, in units of the cell vectors:
K 0.0000 0.0000 0.0000  4 Sb 3.14, 4 K 3.14
K 0.7500 0.7500 0.7500  4 Ru 3.14, 4 K 3.14
Ru 0.5000 0.5000 0.5000  4 K 3.14, 4 Sb 3.14
Sb 0.2500 0.2500 0.2500  4 Ru 3.14, 4 K 3.14

spin magnetization: 2.9 μB/cell
theoretical density: 5263 kg/m3
energy relative to the elements, uncorrected: 1.81 eV/f.u.


7.
The following is a DFT calculation (SCAN) of a PBEsol-optimized structure of Ba3DyB9O18.

a b c (Å): 7.2059 7.2059 16.7076
angles (deg): 90.00 90.00 120.00
Closest atoms and distances in Å follow each position.
Sites, in units of the cell vectors:
Ba 0.6667 0.3333 0.6295  9 O 2.70-2.98
Ba 0.3333 0.6667 0.3705  9 O 2.70-2.98
*/

Outcome:
7